Material:
********
Record 1
This record from the Open Molecules 2025 dataset describes a structure of composition C44H36AuO2P2SSi. The level of theory is the ωB97M-V functional and the def2-TZVPD basis.

molar mass = 915.8 Da
energy = -91285.873 eV
largest force on an atom = 0.62 eV Å⁻¹

Structure (ORCA input):
```
! RIJCOSX wB97M-V def2-TZVPD def2/J DEFGRID3
* xyz 1 1
Au -0.056 1.447 1.274
C -2.773 0.930 3.269
Si -1.921 0.172 1.785
C -1.513 -1.609 2.157
C -2.496 -2.423 2.724
C -2.185 -3.671 3.238
C -0.869 -4.108 3.229
C 0.120 -3.313 2.671
C -0.202 -2.080 2.112
P 1.125 -1.016 1.427
C 2.328 -2.166 0.657
C 3.632 -1.713 0.458
C 4.552 -2.485 -0.230
C 4.179 -3.719 -0.743
C 2.878 -4.166 -0.577
C 1.956 -3.393 0.113
C 2.140 -0.539 2.907
C 3.010 -1.481 3.469
C 3.673 -1.211 4.653
C 3.499 0.009 5.291
C 2.648 0.953 4.743
C 1.977 0.671 3.563
C -2.944 0.569 0.252
C -4.068 -0.221 -0.001
C -4.936 0.070 -1.042
C -4.699 1.171 -1.852
C -3.591 1.968 -1.621
C -2.708 1.672 -0.586
P -1.267 2.762 -0.306
C -0.353 2.834 -1.852
C 0.570 3.868 -2.030
C 1.392 3.881 -3.140
C 1.314 2.853 -4.075
C 0.408 1.821 -3.899
C -0.429 1.809 -2.792
C -1.913 4.400 0.050
C -2.361 5.251 -0.960
C -2.897 6.485 -0.637
C -2.989 6.874 0.694
C -2.536 6.034 1.700
C -1.992 4.800 1.379
H -3.741 0.446 3.416
H -2.967 1.990 3.110
H -2.191 0.806 4.180
H -3.520 -2.075 2.799
H -2.960 -4.287 3.674
H -0.606 -5.063 3.663
H 1.145 -3.657 2.686
H 3.943 -0.752 0.853
H 5.560 -2.120 -0.367
H 4.895 -4.323 -1.283
H 2.572 -5.117 -0.991
H 0.939 -3.750 0.207
H 3.167 -2.438 2.991
H 4.331 -1.957 5.076
H 4.026 0.220 6.211
H 2.504 1.907 5.230
H 1.294 1.422 3.171
H -4.277 -1.083 0.621
H -5.800 -0.557 -1.216
H -5.374 1.407 -2.663
H -3.406 2.819 -2.266
H 0.643 4.666 -1.300
H 2.098 4.689 -3.277
H 1.962 2.863 -4.941
H 0.349 1.020 -4.623
H -1.129 0.996 -2.661
H -2.275 4.957 -1.999
H -3.240 7.145 -1.421
H -3.407 7.839 0.945
H -2.598 6.341 2.735
H -1.629 4.151 2.167
O 1.109 -4.888 -5.754
C 2.073 -4.281 -5.030
O 3.228 -4.535 -5.212
C 1.618 -3.297 -3.995
C 0.386 -3.390 -3.355
C 0.057 -2.498 -2.349
C 0.951 -1.495 -1.990
S 0.520 -0.378 -0.693
C 2.166 -1.375 -2.660
C 2.507 -2.284 -3.643
H 0.251 -4.489 -5.578
H -0.305 -4.189 -3.596
H -0.884 -2.589 -1.821
H 2.847 -0.581 -2.386
H 3.465 -2.231 -4.141
*
```



Record 2
This record from the Open Molecules 2025 dataset describes a structure of composition C44H36F16GeN4O2PS4Sc. The level of theory is the ωB97M-V functional and the def2-TZVPD basis.

molar mass = 1233.6 Da
energy = -229598.786 eV
largest force on an atom = 1.62 eV Å⁻¹

Structure (ORCA input):
```
! RIJCOSX wB97M-V def2-TZVPD def2/J DEFGRID3
* xyz 0 1
Sc 0.175 -0.041 -0.501
N -0.406 -2.321 -1.199
C 0.586 -3.273 -0.785
C 0.320 -4.615 -0.661
C 1.326 -5.519 -0.286
C 2.608 -5.094 -0.086
C 2.929 -3.730 -0.212
C 4.243 -3.241 -0.057
C 4.469 -1.898 -0.186
C 3.377 -1.043 -0.409
N 2.135 -1.460 -0.531
C 1.898 -2.798 -0.506
H -0.513 -2.349 -2.218
H -1.316 -2.584 -0.810
H -0.676 -4.985 -0.862
H 1.074 -6.561 -0.169
H 3.395 -5.781 0.183
H 5.047 -3.934 0.152
H 5.457 -1.471 -0.092
H 3.550 0.027 -0.506
F -6.767 -1.021 -0.322
C -5.507 -0.522 -0.296
C -4.941 -0.040 -1.463
C -3.672 0.500 -1.420
C -2.942 0.583 -0.221
C -1.650 1.275 -0.141
C -3.552 0.058 0.929
C -4.812 -0.495 0.901
H -5.512 -0.072 -2.379
H -3.228 0.871 -2.328
H -1.492 1.660 0.885
H -1.607 2.104 -0.866
H -3.013 0.082 1.860
H -5.262 -0.885 1.799
C 2.820 2.782 -5.282
C 1.525 2.008 -5.472
C 0.313 2.836 -5.087
O 1.596 0.771 -4.751
P 1.063 0.413 -3.299
S -0.916 0.189 -3.231
S 1.827 1.523 -1.833
O 1.741 -1.040 -3.120
C 1.826 -2.156 -4.026
C 3.221 -2.196 -4.631
C 0.749 -2.161 -5.098
H 2.790 3.683 -5.890
H 3.668 2.169 -5.580
H 2.933 3.050 -4.235
H 1.433 1.684 -6.519
H 0.396 3.161 -4.049
H -0.601 2.258 -5.210
H 0.256 3.717 -5.721
H 1.694 -3.030 -3.371
H 3.391 -1.292 -5.208
H 3.307 -3.071 -5.270
H 3.972 -2.259 -3.846
H 0.975 -1.419 -5.860
H -0.229 -1.933 -4.680
H 0.711 -3.143 -5.562
S -0.461 4.392 -1.854
C -2.087 4.402 -2.211
N -2.627 3.484 -3.028
C -4.035 3.470 -3.357
C -4.816 3.973 -2.147
********

Activity:
Print the whole of the rows further up without altering anything.

Completed:
Record 1
This record from the Open Molecules 2025 dataset describes a structure of composition C44H36AuO2P2SSi. The level of theory is the ωB97M-V functional and the def2-TZVPD basis.

molar mass = 915.8 Da
energy = -91285.873 eV
largest force on an atom = 0.62 eV Å⁻¹

Structure (ORCA input):
```
! RIJCOSX wB97M-V def2-TZVPD def2/J DEFGRID3
* xyz 1 1
Au -0.056 1.447 1.274
C -2.773 0.930 3.269
Si -1.921 0.172 1.785
C -1.513 -1.609 2.157
C -2.496 -2.423 2.724
C -2.185 -3.671 3.238
C -0.869 -4.108 3.229
C 0.120 -3.313 2.671
C -0.202 -2.080 2.112
P 1.125 -1.016 1.427
C 2.328 -2.166 0.657
C 3.632 -1.713 0.458
C 4.552 -2.485 -0.230
C 4.179 -3.719 -0.743
C 2.878 -4.166 -0.577
C 1.956 -3.393 0.113
C 2.140 -0.539 2.907
C 3.010 -1.481 3.469
C 3.673 -1.211 4.653
C 3.499 0.009 5.291
C 2.648 0.953 4.743
C 1.977 0.671 3.563
C -2.944 0.569 0.252
C -4.068 -0.221 -0.001
C -4.936 0.070 -1.042
C -4.699 1.171 -1.852
C -3.591 1.968 -1.621
C -2.708 1.672 -0.586
P -1.267 2.762 -0.306
C -0.353 2.834 -1.852
C 0.570 3.868 -2.030
C 1.392 3.881 -3.140
C 1.314 2.853 -4.075
C 0.408 1.821 -3.899
C -0.429 1.809 -2.792
C -1.913 4.400 0.050
C -2.361 5.251 -0.960
C -2.897 6.485 -0.637
C -2.989 6.874 0.694
C -2.536 6.034 1.700
C -1.992 4.800 1.379
H -3.741 0.446 3.416
H -2.967 1.990 3.110
H -2.191 0.806 4.180
H -3.520 -2.075 2.799
H -2.960 -4.287 3.674
H -0.606 -5.063 3.663
H 1.145 -3.657 2.686
H 3.943 -0.752 0.853
H 5.560 -2.120 -0.367
H 4.895 -4.323 -1.283
H 2.572 -5.117 -0.991
H 0.939 -3.750 0.207
H 3.167 -2.438 2.991
H 4.331 -1.957 5.076
H 4.026 0.220 6.211
H 2.504 1.907 5.230
H 1.294 1.422 3.171
H -4.277 -1.083 0.621
H -5.800 -0.557 -1.216
H -5.374 1.407 -2.663
H -3.406 2.819 -2.266
H 0.643 4.666 -1.300
H 2.098 4.689 -3.277
H 1.962 2.863 -4.941
H 0.349 1.020 -4.623
H -1.129 0.996 -2.661
H -2.275 4.957 -1.999
H -3.240 7.145 -1.421
H -3.407 7.839 0.945
H -2.598 6.341 2.735
H -1.629 4.151 2.167
O 1.109 -4.888 -5.754
C 2.073 -4.281 -5.030
O 3.228 -4.535 -5.212
C 1.618 -3.297 -3.995
C 0.386 -3.390 -3.355
C 0.057 -2.498 -2.349
C 0.951 -1.495 -1.990
S 0.520 -0.378 -0.693
C 2.166 -1.375 -2.660
C 2.507 -2.284 -3.643
H 0.251 -4.489 -5.578
H -0.305 -4.189 -3.596
H -0.884 -2.589 -1.821
H 2.847 -0.581 -2.386
H 3.465 -2.231 -4.141
*
```



Record 2
This record from the Open Molecules 2025 dataset describes a structure of composition C44H36F16GeN4O2PS4Sc. The level of theory is the ωB97M-V functional and the def2-TZVPD basis.

molar mass = 1233.6 Da
energy = -229598.786 eV
largest force on an atom = 1.62 eV Å⁻¹

Structure (ORCA input):
```
! RIJCOSX wB97M-V def2-TZVPD def2/J DEFGRID3
* xyz 0 1
Sc 0.175 -0.041 -0.501
N -0.406 -2.321 -1.199
C 0.586 -3.273 -0.785
C 0.320 -4.615 -0.661
C 1.326 -5.519 -0.286
C 2.608 -5.094 -0.086
C 2.929 -3.730 -0.212
C 4.243 -3.241 -0.057
C 4.469 -1.898 -0.186
C 3.377 -1.043 -0.409
N 2.135 -1.460 -0.531
C 1.898 -2.798 -0.506
H -0.513 -2.349 -2.218
H -1.316 -2.584 -0.810
H -0.676 -4.985 -0.862
H 1.074 -6.561 -0.169
H 3.395 -5.781 0.183
H 5.047 -3.934 0.152
H 5.457 -1.471 -0.092
H 3.550 0.027 -0.506
F -6.767 -1.021 -0.322
C -5.507 -0.522 -0.296
C -4.941 -0.040 -1.463
C -3.672 0.500 -1.420
C -2.942 0.583 -0.221
C -1.650 1.275 -0.141
C -3.552 0.058 0.929
C -4.812 -0.495 0.901
H -5.512 -0.072 -2.379
H -3.228 0.871 -2.328
H -1.492 1.660 0.885
H -1.607 2.104 -0.866
H -3.013 0.082 1.860
H -5.262 -0.885 1.799
C 2.820 2.782 -5.282
C 1.525 2.008 -5.472
C 0.313 2.836 -5.087
O 1.596 0.771 -4.751
P 1.063 0.413 -3.299
S -0.916 0.189 -3.231
S 1.827 1.523 -1.833
O 1.741 -1.040 -3.120
C 1.826 -2.156 -4.026
C 3.221 -2.196 -4.631
C 0.749 -2.161 -5.098
H 2.790 3.683 -5.890
H 3.668 2.169 -5.580
H 2.933 3.050 -4.235
H 1.433 1.684 -6.519
H 0.396 3.161 -4.049
H -0.601 2.258 -5.210
H 0.256 3.717 -5.721
H 1.694 -3.030 -3.371
H 3.391 -1.292 -5.208
H 3.307 -3.071 -5.270
H 3.972 -2.259 -3.846
H 0.975 -1.419 -5.860
H -0.229 -1.933 -4.680
H 0.711 -3.143 -5.562
S -0.461 4.392 -1.854
C -2.087 4.402 -2.211
N -2.627 3.484 -3.028
C -4.035 3.470 -3.357
C -4.816 3.973 -2.147